• Data:
........
# 1
9 unconnected molecules or ions with the total composition C32H61F15O26P4 at a distorted geometry. Source: the OMol25 dataset; level of theory: ωB97M-V/def2-TZVPD.

Calculated values
- net charge = 0
- Kohn-Sham gap (eV) = 10.968
- SMILES = CCOC(=O)C(F)(F)F.CCOC(=O)C(F)(F)F.CCOC(=O)C(F)(F)F.CCOC(=O)C(F)(F)F.CCOC(=O)C(F)(F)F.COP(=O)(OC)OC.COP(=O)(OC)OC.COP(=O)(OC)OC.COP(=O)(OC)OC
- LUMO energy (eV) = 0.506

The geometry in XYZ format:
```
138
C32H61F15O26P4 | the OMol25 dataset | ωB97M-V/def2-TZVPD
C 8.05 1.78 -2.15
C 6.79 2.21 -1.50
O 6.95 2.82 -0.19
C 5.88 2.88 0.56
O 4.72 2.63 0.16
C 6.11 3.27 2.03
F 6.76 2.25 2.68
F 7.03 4.31 2.13
F 4.99 3.60 2.69
H 7.74 1.31 -3.07
H 8.43 0.95 -1.58
H 8.80 2.53 -2.26
H 6.10 1.38 -1.36
H 6.25 2.85 -2.13
C 1.98 3.79 -0.91
C 1.69 4.71 0.29
O 0.99 4.11 1.39
C -0.32 4.35 1.35
O -0.90 4.97 0.51
C -1.02 3.84 2.62
F -2.37 4.07 2.72
F -0.85 2.51 2.70
F -0.38 4.41 3.64
H 2.42 4.40 -1.70
H 1.11 3.22 -1.36
H 2.74 3.05 -0.63
H 1.20 5.58 -0.11
H 2.66 5.07 0.66
C 7.91 -5.38 -0.22
C 7.62 -4.01 -0.73
O 6.38 -3.54 -0.08
C 6.24 -2.23 0.15
O 7.08 -1.44 -0.09
C 4.93 -1.83 0.83
F 4.13 -2.86 1.09
F 5.13 -1.15 1.95
F 4.18 -1.10 -0.04
H 7.13 -6.08 -0.28
H 8.24 -5.40 0.84
H 8.71 -5.83 -0.77
H 7.27 -3.97 -1.75
H 8.43 -3.35 -0.64
C -3.15 1.17 -6.26
C -1.78 1.37 -5.82
O -1.19 0.10 -5.27
C -0.47 -0.58 -6.20
O -0.32 -0.24 -7.32
C 0.08 -1.90 -5.50
F -0.53 -2.28 -4.41
F 0.04 -2.87 -6.45
F 1.36 -1.61 -5.05
H -3.26 0.40 -7.07
H -3.49 2.08 -6.74
H -3.80 0.99 -5.43
H -1.61 2.09 -5.00
H -1.19 1.73 -6.64
C -4.62 -5.59 -2.84
C -5.06 -4.43 -2.02
O -4.57 -3.21 -2.72
C -5.26 -2.90 -3.78
O -6.24 -3.42 -4.19
C -4.67 -1.70 -4.66
F -5.66 -0.96 -5.19
F -3.91 -0.95 -3.91
F -3.89 -2.12 -5.63
H -3.56 -5.73 -2.91
H -4.95 -5.39 -3.88
H -5.10 -6.56 -2.52
H -4.67 -4.33 -1.05
H -6.13 -4.59 -1.95
C -0.69 -3.84 0.92
O -1.76 -4.41 1.71
P -3.02 -3.47 1.97
O -3.80 -3.04 0.77
O -3.94 -4.41 2.92
C -3.44 -4.82 4.15
O -2.48 -2.35 2.99
C -2.73 -0.95 2.93
H -0.19 -4.66 0.35
H 0.07 -3.26 1.44
H -1.12 -3.17 0.19
H -2.96 -3.93 4.59
H -2.70 -5.57 3.94
H -4.20 -5.19 4.79
H -3.45 -0.73 3.73
H -3.27 -0.62 2.05
H -1.81 -0.46 3.15
C 0.20 2.47 6.07
O 1.46 2.99 6.46
P 2.64 2.02 6.86
O 3.88 2.74 6.96
O 2.20 1.13 8.08
C 2.16 1.73 9.38
O 2.51 0.88 5.78
C 3.42 0.99 4.66
H -0.48 3.34 6.26
H -0.04 1.55 6.56
H 0.19 2.36 4.93
H 1.14 1.83 9.81
H 2.71 2.65 9.42
H 2.69 1.03 10.00
H 3.37 -0.03 4.29
H 4.36 1.32 5.01
H 3.01 1.72 3.96
C -7.27 3.11 -2.74
O -6.56 2.48 -1.73
P -5.34 1.54 -2.10
O -4.68 1.86 -3.32
O -4.44 1.63 -0.78
C -3.60 2.71 -0.51
O -5.76 0.03 -1.92
C -6.20 -0.45 -0.64
H -8.27 2.65 -2.83
H -6.71 3.02 -3.70
H -7.35 4.19 -2.44
H -2.93 3.01 -1.32
H -2.96 2.40 0.34
H -4.24 3.56 -0.27
H -5.30 -0.64 -0.06
H -6.70 -1.40 -0.87
H -7.00 0.12 -0.12
C 1.21 0.48 1.71
O -0.16 -0.05 1.40
P -0.26 -0.34 -0.17
O 0.78 -1.09 -0.89
O -1.67 -1.01 -0.09
C -2.48 -1.28 -1.23
O -0.39 1.18 -0.77
C -0.31 1.36 -2.19
H 1.81 -0.41 1.66
H 1.15 0.81 2.72
H 1.41 1.21 0.95
H -2.94 -0.32 -1.53
H -3.24 -2.01 -0.97
H -1.91 -1.66 -2.06
H 0.70 1.54 -2.46
H -0.94 2.21 -2.44
H -0.66 0.49 -2.73
```

These are the Mulliken partial charges, in e, on atoms 1 to 8: -1.344, 0.042, -0.328, 0.268, -0.529, 0.915, -0.250, -0.284

---

# 2
A molecular structure, C31H57CeN2O2P2S at a distorted geometry. Source: the OMol25 dataset; level of theory: ωB97M-V/def2-TZVPD.

Calculated values
- net charge = +3
- Kohn-Sham gap (alpha / beta) (eV) = 4.748 / 4.651
- LUMO energy (alpha / beta) (eV) = -10.100 / -10.172

The geometry in XYZ format:
```
96
C31H57CeN2O2P2S | the OMol25 dataset | ωB97M-V/def2-TZVPD
C -2.43 1.10 -1.41
C -2.55 -1.14 -0.67
C -3.57 0.96 -2.19
C -3.82 -1.26 -1.29
C -4.32 -0.23 -2.06
H -3.86 1.76 -2.85
H -4.35 -2.19 -1.14
H -5.27 -0.32 -2.57
N -1.93 0.10 -0.65
P -0.77 2.79 0.13
P -0.31 -2.69 0.43
C -1.64 2.41 -1.45
H -0.89 2.32 -2.26
H -2.30 3.24 -1.74
C -1.94 -2.28 -0.07
H -2.65 -3.09 0.14
C 0.30 -3.69 -1.09
C -0.57 -3.77 2.03
C 0.77 3.83 -0.33
C -2.16 3.68 1.05
C 1.84 -3.60 -1.03
H 2.23 -3.98 -0.08
........

• What to do:
Please type out the lines earlier on up to the one that holds "-3.60 2.71", that line included.

• Written answer:
# 1
9 unconnected molecules or ions with the total composition C32H61F15O26P4 at a distorted geometry. Source: the OMol25 dataset; level of theory: ωB97M-V/def2-TZVPD.

Calculated values
- net charge = 0
- Kohn-Sham gap (eV) = 10.968
- SMILES = CCOC(=O)C(F)(F)F.CCOC(=O)C(F)(F)F.CCOC(=O)C(F)(F)F.CCOC(=O)C(F)(F)F.CCOC(=O)C(F)(F)F.COP(=O)(OC)OC.COP(=O)(OC)OC.COP(=O)(OC)OC.COP(=O)(OC)OC
- LUMO energy (eV) = 0.506

The geometry in XYZ format:
```
138
C32H61F15O26P4 | the OMol25 dataset | ωB97M-V/def2-TZVPD
C 8.05 1.78 -2.15
C 6.79 2.21 -1.50
O 6.95 2.82 -0.19
C 5.88 2.88 0.56
O 4.72 2.63 0.16
C 6.11 3.27 2.03
F 6.76 2.25 2.68
F 7.03 4.31 2.13
F 4.99 3.60 2.69
H 7.74 1.31 -3.07
H 8.43 0.95 -1.58
H 8.80 2.53 -2.26
H 6.10 1.38 -1.36
H 6.25 2.85 -2.13
C 1.98 3.79 -0.91
C 1.69 4.71 0.29
O 0.99 4.11 1.39
C -0.32 4.35 1.35
O -0.90 4.97 0.51
C -1.02 3.84 2.62
F -2.37 4.07 2.72
F -0.85 2.51 2.70
F -0.38 4.41 3.64
H 2.42 4.40 -1.70
H 1.11 3.22 -1.36
H 2.74 3.05 -0.63
H 1.20 5.58 -0.11
H 2.66 5.07 0.66
C 7.91 -5.38 -0.22
C 7.62 -4.01 -0.73
O 6.38 -3.54 -0.08
C 6.24 -2.23 0.15
O 7.08 -1.44 -0.09
C 4.93 -1.83 0.83
F 4.13 -2.86 1.09
F 5.13 -1.15 1.95
F 4.18 -1.10 -0.04
H 7.13 -6.08 -0.28
H 8.24 -5.40 0.84
H 8.71 -5.83 -0.77
H 7.27 -3.97 -1.75
H 8.43 -3.35 -0.64
C -3.15 1.17 -6.26
C -1.78 1.37 -5.82
O -1.19 0.10 -5.27
C -0.47 -0.58 -6.20
O -0.32 -0.24 -7.32
C 0.08 -1.90 -5.50
F -0.53 -2.28 -4.41
F 0.04 -2.87 -6.45
F 1.36 -1.61 -5.05
H -3.26 0.40 -7.07
H -3.49 2.08 -6.74
H -3.80 0.99 -5.43
H -1.61 2.09 -5.00
H -1.19 1.73 -6.64
C -4.62 -5.59 -2.84
C -5.06 -4.43 -2.02
O -4.57 -3.21 -2.72
C -5.26 -2.90 -3.78
O -6.24 -3.42 -4.19
C -4.67 -1.70 -4.66
F -5.66 -0.96 -5.19
F -3.91 -0.95 -3.91
F -3.89 -2.12 -5.63
H -3.56 -5.73 -2.91
H -4.95 -5.39 -3.88
H -5.10 -6.56 -2.52
H -4.67 -4.33 -1.05
H -6.13 -4.59 -1.95
C -0.69 -3.84 0.92
O -1.76 -4.41 1.71
P -3.02 -3.47 1.97
O -3.80 -3.04 0.77
O -3.94 -4.41 2.92
C -3.44 -4.82 4.15
O -2.48 -2.35 2.99
C -2.73 -0.95 2.93
H -0.19 -4.66 0.35
H 0.07 -3.26 1.44
H -1.12 -3.17 0.19
H -2.96 -3.93 4.59
H -2.70 -5.57 3.94
H -4.20 -5.19 4.79
H -3.45 -0.73 3.73
H -3.27 -0.62 2.05
H -1.81 -0.46 3.15
C 0.20 2.47 6.07
O 1.46 2.99 6.46
P 2.64 2.02 6.86
O 3.88 2.74 6.96
O 2.20 1.13 8.08
C 2.16 1.73 9.38
O 2.51 0.88 5.78
C 3.42 0.99 4.66
H -0.48 3.34 6.26
H -0.04 1.55 6.56
H 0.19 2.36 4.93
H 1.14 1.83 9.81
H 2.71 2.65 9.42
H 2.69 1.03 10.00
H 3.37 -0.03 4.29
H 4.36 1.32 5.01
H 3.01 1.72 3.96
C -7.27 3.11 -2.74
O -6.56 2.48 -1.73
P -5.34 1.54 -2.10
O -4.68 1.86 -3.32
O -4.44 1.63 -0.78
C -3.60 2.71 -0.51